-- To do --
Now set down the block underneath without altering anything.
-- Material --
********
TlSe2Br8 | PBE | relaxed

Summary:
As for the total energy: -0.1644 Ry per atom. The value obtained for the density of states at the Fermi level is 3.802 states/eV per cell. Its theoretical density is 3.95 Mg/m³.

Cell and atoms, written as CIF:
```
data_TlSe2Br8
_cell_length_a 12.628
_cell_length_b 8.472
_cell_length_c 8.972
_cell_angle_alpha 90.00
_cell_angle_beta 118.68
_cell_angle_gamma 90.00
_symmetry_space_group_name_H-M 'C 1 2/m 1'
_symmetry_Int_Tables_number 12
loop_
_symmetry_equiv_pos_as_xyz
'x,y,z'
'-x,-y,-z'
'-x,y,-z'
'x,-y,z'
'x+1/2,y+1/2,z'
'-x+1/2,-y+1/2,-z'
'-x+1/2,y+1/2,-z'
'x+1/2,-y+1/2,z'
loop_
_atom_site_label
_atom_site_type_symbol
_atom_site_fract_x
_atom_site_fract_y
_atom_site_fract_z
_atom_site_occupancy
Tl1 Tl 0.000 0.000 0.000 1
Se1 Se 0.146 0.000 0.643 1
Br1 Br 0.103 0.236 0.767 1
Br2 Br 0.112 0.500 0.121 1
Br3 Br 0.208 0.000 0.411 1
```

=====

Tb3Ga7Os2 | PBE | relaxed

Summary:
As for the total energy: -0.3694 Ry per atom. The value obtained for the density of states at the Fermi level is 10.861 states/eV per cell. Its theoretical density is 8.63 Mg/m³.

Cell and atoms, written as CIF:
```
data_Tb3Ga7Os2
_cell_length_a 4.622
_cell_length_b 4.622
_cell_length_c 24.242
_cell_angle_alpha 90.00
_cell_angle_beta 90.00
_cell_angle_gamma 90.00
_symmetry_space_group_name_H-M 'I 4/m m m'
_symmetry_Int_Tables_number 139
_symmetry_space_group_name_Hall '-I 4 2'
loop_
_atom_site_label
_atom_site_type_symbol
_atom_site_fract_x
_atom_site_fract_y
_atom_site_fract_z
_atom_site_occupancy
Tb1 Tb 0.000 0.000 0.000 1
Tb2 Tb 0.000 0.000 0.168 1
Ga1 Ga 0.000 0.000 0.288 1
Ga2 Ga 0.000 0.000 0.500 1
Ga3 Ga 0.000 0.500 0.083 1
Os1 Os 0.000 0.000 0.387 1
```

=====

NbAuI2O | PBE | relaxed

Summary:
As for the total energy: -0.2631 Ry per atom. The value obtained for the density of states at the Fermi level is 6.688 states/eV per cell. Its theoretical density is 7.16 Mg/m³. Its excess energy over the best structure of this formula in the dataset is 1128 meV/atom.

Cell and atoms, written as CIF:
```
data_NbAuI2O
_cell_length_a 5.737
_cell_length_b 5.737
_cell_length_c 3.945
_cell_angle_alpha 90.00
_cell_angle_beta 90.00
_cell_angle_gamma 90.00
_symmetry_space_group_name_H-M 'P 4/m m m'
_symmetry_Int_Tables_number 123
_symmetry_space_group_name_Hall '-P 4 2'
loop_
_atom_site_label
_atom_site_type_symbol
_atom_site_fract_x
_atom_site_fract_y
_atom_site_fract_z
_atom_site_occupancy
Nb1 Nb 0.000 0.000 0.000 1
Au1 Au 0.500 0.500 0.500 1
I1 I 0.000 0.500 0.500 1
O1 O 0.500 0.500 0.000 1
```

=====

PmAlPt3 | PBE | relaxed

Summary:
As for the total energy: -0.4567 Ry per atom. The value obtained for the density of states at the Fermi level is 5.883 states/eV per cell. Its theoretical density is 12.30 Mg/m³.

Cell and atoms, written as CIF:
```
data_PmAlPt3
_cell_length_a 5.8561
_cell_length_b 5.8561
_cell_length_c 13.7700
_cell_angle_alpha 90.00
_cell_angle_beta 90.00
_cell_angle_gamma 120.00
_symmetry_space_group_name_H-M 'P 63/m m c'
_symmetry_Int_Tables_number 194
_symmetry_space_group_name_Hall '-P 6c 2c'
loop_
_atom_site_label
_atom_site_type_symbol
_atom_site_fract_x
_atom_site_fract_y
_atom_site_fract_z
_atom_site_occupancy
Pm1 Pm 0.0000 0.0000 0.0000 1
Pm2 Pm 0.3333 0.6667 0.2500 1
Al1 Al 0.3333 0.6667 0.6310 1
Pt1 Pt 0.0000 0.5000 0.0000 1
Pt2 Pt 0.1531 0.3062 0.7500 1
```

=====

Sm4As2PBr | PBE | relaxed

Summary:
As for the total energy: -0.4344 Ry per atom. The value obtained for the density of states at the Fermi level is 2.613 states/eV per cell. Its theoretical density is 6.86 Mg/m³.

Cell and atoms, written as CIF:
```
data_Sm4As2PBr
_cell_length_a 7.219
_cell_length_b 4.181
_cell_length_c 7.322
_cell_angle_alpha 90.00
_cell_angle_beta 109.22
_cell_angle_gamma 90.00
_symmetry_space_group_name_H-M 'P 1 2/m 1'
_symmetry_Int_Tables_number 10
loop_
_symmetry_equiv_pos_as_xyz
'x,y,z'
'-x,-y,-z'
'-x,y,-z'
'x,-y,z'
loop_
_atom_site_label
_atom_site_type_symbol
_atom_site_fract_x
_atom_site_fract_y
********
-- Done --
TlSe2Br8 | PBE | relaxed

Summary:
As for the total energy: -0.1644 Ry per atom. The value obtained for the density of states at the Fermi level is 3.802 states/eV per cell. Its theoretical density is 3.95 Mg/m³.

Cell and atoms, written as CIF:
```
data_TlSe2Br8
_cell_length_a 12.628
_cell_length_b 8.472
_cell_length_c 8.972
_cell_angle_alpha 90.00
_cell_angle_beta 118.68
_cell_angle_gamma 90.00
_symmetry_space_group_name_H-M 'C 1 2/m 1'
_symmetry_Int_Tables_number 12
loop_
_symmetry_equiv_pos_as_xyz
'x,y,z'
'-x,-y,-z'
'-x,y,-z'
'x,-y,z'
'x+1/2,y+1/2,z'
'-x+1/2,-y+1/2,-z'
'-x+1/2,y+1/2,-z'
'x+1/2,-y+1/2,z'
loop_
_atom_site_label
_atom_site_type_symbol
_atom_site_fract_x
_atom_site_fract_y
_atom_site_fract_z
_atom_site_occupancy
Tl1 Tl 0.000 0.000 0.000 1
Se1 Se 0.146 0.000 0.643 1
Br1 Br 0.103 0.236 0.767 1
Br2 Br 0.112 0.500 0.121 1
Br3 Br 0.208 0.000 0.411 1
```

=====

Tb3Ga7Os2 | PBE | relaxed

Summary:
As for the total energy: -0.3694 Ry per atom. The value obtained for the density of states at the Fermi level is 10.861 states/eV per cell. Its theoretical density is 8.63 Mg/m³.

Cell and atoms, written as CIF:
```
data_Tb3Ga7Os2
_cell_length_a 4.622
_cell_length_b 4.622
_cell_length_c 24.242
_cell_angle_alpha 90.00
_cell_angle_beta 90.00
_cell_angle_gamma 90.00
_symmetry_space_group_name_H-M 'I 4/m m m'
_symmetry_Int_Tables_number 139
_symmetry_space_group_name_Hall '-I 4 2'
loop_
_atom_site_label
_atom_site_type_symbol
_atom_site_fract_x
_atom_site_fract_y
_atom_site_fract_z
_atom_site_occupancy
Tb1 Tb 0.000 0.000 0.000 1
Tb2 Tb 0.000 0.000 0.168 1
Ga1 Ga 0.000 0.000 0.288 1
Ga2 Ga 0.000 0.000 0.500 1
Ga3 Ga 0.000 0.500 0.083 1
Os1 Os 0.000 0.000 0.387 1
```

=====

NbAuI2O | PBE | relaxed

Summary:
As for the total energy: -0.2631 Ry per atom. The value obtained for the density of states at the Fermi level is 6.688 states/eV per cell. Its theoretical density is 7.16 Mg/m³. Its excess energy over the best structure of this formula in the dataset is 1128 meV/atom.

Cell and atoms, written as CIF:
```
data_NbAuI2O
_cell_length_a 5.737
_cell_length_b 5.737
_cell_length_c 3.945
_cell_angle_alpha 90.00
_cell_angle_beta 90.00
_cell_angle_gamma 90.00
_symmetry_space_group_name_H-M 'P 4/m m m'
_symmetry_Int_Tables_number 123
_symmetry_space_group_name_Hall '-P 4 2'
loop_
_atom_site_label
_atom_site_type_symbol
_atom_site_fract_x
_atom_site_fract_y
_atom_site_fract_z
_atom_site_occupancy
Nb1 Nb 0.000 0.000 0.000 1
Au1 Au 0.500 0.500 0.500 1
I1 I 0.000 0.500 0.500 1
O1 O 0.500 0.500 0.000 1
```

=====

PmAlPt3 | PBE | relaxed

Summary:
As for the total energy: -0.4567 Ry per atom. The value obtained for the density of states at the Fermi level is 5.883 states/eV per cell. Its theoretical density is 12.30 Mg/m³.

Cell and atoms, written as CIF:
```
data_PmAlPt3
_cell_length_a 5.8561
_cell_length_b 5.8561
_cell_length_c 13.7700
_cell_angle_alpha 90.00
_cell_angle_beta 90.00
_cell_angle_gamma 120.00
_symmetry_space_group_name_H-M 'P 63/m m c'
_symmetry_Int_Tables_number 194
_symmetry_space_group_name_Hall '-P 6c 2c'
loop_
_atom_site_label
_atom_site_type_symbol
_atom_site_fract_x
_atom_site_fract_y
_atom_site_fract_z
_atom_site_occupancy
Pm1 Pm 0.0000 0.0000 0.0000 1
Pm2 Pm 0.3333 0.6667 0.2500 1
Al1 Al 0.3333 0.6667 0.6310 1
Pt1 Pt 0.0000 0.5000 0.0000 1
Pt2 Pt 0.1531 0.3062 0.7500 1
```

=====

Sm4As2PBr | PBE | relaxed

Summary:
As for the total energy: -0.4344 Ry per atom. The value obtained for the density of states at the Fermi level is 2.613 states/eV per cell. Its theoretical density is 6.86 Mg/m³.

Cell and atoms, written as CIF:
```
data_Sm4As2PBr
_cell_length_a 7.219
_cell_length_b 4.181
_cell_length_c 7.322
_cell_angle_alpha 90.00
_cell_angle_beta 109.22
_cell_angle_gamma 90.00
_symmetry_space_group_name_H-M 'P 1 2/m 1'
_symmetry_Int_Tables_number 10
loop_
_symmetry_equiv_pos_as_xyz
'x,y,z'
'-x,-y,-z'
'-x,y,-z'
'x,-y,z'
loop_
_atom_site_label
_atom_site_type_symbol
_atom_site_fract_x
_atom_site_fract_y